Just got my Chargeback from PPE. You guys should all do the same thing. Stop whining over some scumbag getting busted, pretty sure these creeps were selectively scamming long before they were arrested.
So you filed a complaint with your bank about not rec'd merchandise & they refunded your money? Is that what you mean by chargeback? I am afraid of what questions they might ask in regards to what items I attempted to purchase and didn't receive...God, I am such an asshat...Just got my Chargeback from PPE. You guys should all do the same thing. Stop whining over some scumbag getting busted, pretty sure these creeps were selectively scamming long before they were arrested.
Jim has alternatives to all the payment methods you mentioned. contact him.Langsense said:I always found Doc reliable. It was a surprise to see his site down and then no response to email. Then I see the post a couple of pages back reporting his arrest. What a shame. I am scrambling now to find a replacement vendor. I use to use starlite a lot (great vendor) but I don't understand bitcoin and I do not have a photo ID for WU or MG etc. I'm stuck at the mo!
I used TTM2U before but I've since read the quality of their Codeine and Xanax were subpar/spotty reportedly at least, and the Codeine maybe even causing stomach burns which I may have felt a little.I did business with TTM for the past 3 years, despite them being on the blacklist. I received 100% of my packages within 30 days max. (usually 14-16 days to the U.S.) I last talked to Seth in late September, and fortunately didn't place an order. Their site is 100% shut down, but be aware of a look-a-like site. There are no recent posts on their twitter account, and no responses obviously to emails. Their payment methods, and prices were the Best! They have been known to disappear before and come back. Can anyone confirm the news article is referring to TTM Or PPE? For now, I will be ordering from STARLITERX...
== What comes next are materials data, not part of the entry ==
- - -
(1)
Material: RbHfCO4F4
Method: DFT, PBE
State: optimized geometry

Results
uncorrected energy	-0.24409	Ha/atom
total magnetization	8.1	Bohr magnetons per cell

a b c (Å): 8.0747 7.0727 15.6291
angles (deg): 65.54 90.00 90.00
With the nearest neighbours (Å) after each atom.
Element x y z (fractional)
Rb1 0.6950 0.4121 0.0976  3 F 2.79-2.82
Rb2 0.1950 0.5879 0.4024  3 F 2.79-2.82
Rb3 0.3050 0.5879 0.9024  3 F 2.79-2.82
Rb4 0.8050 0.4121 0.5976  3 F 2.79-2.82
Hf1 0.3405 0.9309 0.0850  4 F 1.97-2.09
Hf2 0.8405 0.0691 0.4150  4 F 1.97-2.09
Hf3 0.6595 0.0691 0.9150  4 F 1.97-2.09
Hf4 0.1595 0.9309 0.5850  4 F 1.97-2.09
C1 0.0005 0.1116 0.9962  2 O 1.27
C2 0.5005 0.8884 0.5038  2 O 1.27
C3 0.9995 0.8884 0.0038  2 O 1.27
C4 0.4995 0.1116 0.4962  2 O 1.27
O1 0.5985 0.7603 0.2732  1 O 1.23
O2 0.0985 0.2397 0.2268  1 O 1.23
O3 0.4015 0.2397 0.7268  1 O 1.23
O4 0.9015 0.7603 0.7732  1 O 1.23
O5 0.1301 0.1675 0.0250  1 C 1.27
O6 0.6301 0.8325 0.4750  1 C 1.27
O7 0.8699 0.8325 0.9750  1 C 1.27
O8 0.3699 0.1675 0.5250  1 C 1.27
O9 0.1283 0.7815 0.0382  1 C 1.27
O10 0.6283 0.2185 0.4618  1 C 1.27
O11 0.8717 0.2185 0.9618  1 C 1.27
O12 0.3717 0.7815 0.5382  1 C 1.27
O13 0.2290 0.3041 0.2452  1 O 1.23
O14 0.7290 0.6959 0.2548  1 O 1.23
O15 0.7710 0.6959 0.7548  1 O 1.23
O16 0.2710 0.3041 0.7452  1 O 1.23
F1 0.2352 0.8251 0.2095  1 Hf 1.97
F2 0.7352 0.1749 0.2905  1 Hf 1.97
F3 0.7648 0.1749 0.7905  1 Hf 1.97
F4 0.2648 0.8251 0.7095  1 Hf 1.97
F5 0.4148 0.1767 0.1034  1 Hf 1.97
F6 0.9148 0.8233 0.3966  1 Hf 1.97
F7 0.5852 0.8233 0.8966  1 Hf 1.97
F8 0.0852 0.1767 0.6034  1 Hf 1.97
F9 0.4275 0.6504 0.1152  1 Hf 1.97
F10 0.9275 0.3496 0.3848  1 Hf 1.97
F11 0.5725 0.3496 0.8848  1 Hf 1.97
F12 0.0725 0.6504 0.6152  1 Hf 1.97
F13 0.3853 0.0378 0.9408  2 Hf 2.09-2.24
F14 0.8853 0.9622 0.5592  2 Hf 2.09-2.24
F15 0.6147 0.9622 0.0592  2 Hf 2.09-2.24
F16 0.1147 0.0378 0.4408  2 Hf 2.09-2.24


(2)
Material: HgC4F6
Method: DFT, PBE
State: optimized geometry

Results
uncorrected energy	-0.19094	Ha/atom
total magnetization	0.0	Bohr magnetons per cell

a b c (Å): 5.1297 5.9252 6.6932
angles (deg): 104.50 109.01 106.47
With the nearest neighbours (Å) after each atom.
Element x y z (fractional)
Hg1 0.0000 0.0000 0.0000  2 C 2.09
C1 0.7897 0.8668 0.1916  1 C 1.34, 1 F 1.38
C2 0.2103 0.1332 0.8084  1 C 1.34, 1 F 1.38
C3 0.8064 0.6761 0.2614  2 F 1.34, 1 C 1.34
C4 0.1936 0.3239 0.7386  2 F 1.34, 1 C 1.34
F1 0.9695 0.5461 0.2178  1 C 1.34
F2 0.0305 0.4539 0.7822  1 C 1.34
F3 0.6155 0.9838 0.2549  1 C 1.38
F4 0.3845 0.0162 0.7451  1 C 1.38
F5 0.6697 0.5906 0.3831  1 C 1.34
F6 0.3303 0.4094 0.6169  1 C 1.34


(3)
Material: HgTe2C2N2F16
Method: DFT, PBE
State: optimized geometry

Results
uncorrected energy	-0.17041	Ha/atom
total magnetization	0.0	Bohr magnetons per cell

a b c (Å): 9.9780 11.0237 13.0997
angles (deg): 90.00 90.00 90.00
With the nearest neighbours (Å) after each atom.
Element x y z (fractional)
Hg1 0.5000 0.0000 0.5000  2 N 2.07
Hg2 0.5000 0.5000 0.0000  2 N 2.07
- - -
Some people.... They just love to chime in with pointless comments. "One time I took midazolam and didn't like it, so I prefer valium. Think I'll order some from Tunisia!" Cool story.Well this thread went off the rails! Safe to say that my last order from PPE2 is not going to show. I got it in before the dust-up so held out a little hope but not much.
Oh my Lord! How nuts is that? Well, happy early Christmas to you! I know people are down on Doc, but in my opinion, he got caught being a bit greedy/sloppy & my hypothesis is that he got hopelessly backed up, & when he had (it had to be in the hundreds if not over a thousand...) packages/envelopes taken to post office (keeping in mind these postal workers are pissed anyway & just back up after recent strike), & they blew the whistle on him; If the article I read from link on this forum is true, he was caught with over a million dollars worth of products--these items must have been legitimate, or they would have no case--all this means to me is that he actually had real, not bogus, vitamins, & he was attempting to make good on all of these orders, & walked straight into a trap...I know the mods/admins likely disagree, they did blacklist him prior to this for a reason, & they know all the scoop, & I hope this doesn't anger anyone, but I don't agree that he is necessarily a scumbag.... I know the road to hell is paved with good intentions, but that's how I read the situation...I had many, many successful transactions with him, so he did help and benefit me for a number of years; now this loss is tough financially & I am also scrambling in this digital age to figure out this sh!t b/c I need a reputable vendor ASAP...I have always salivated over the SL menu, but their forms of acceptable currency I was not familiar with, but I see where a mod responded to someone who has my same issues that SL now has more alternative ways to pay which I may be able to figure out, so I am def going to look into that...still also wanting to make donation to forum, not only b/c I want to find a good vendor, but to say "Thank You" to all the mods/admins who made this site possible; you will see, I am going to figure this out, flying blind and no sense of direction, I will eventually land, hopefully w/o breaking limbs & w/o offending anyone. "Sufficient unto the day is the evil thereof"--King James Bible (I am too lazy to look at which book that quote is from, but it's my mother's perpetual response to me whenever I am fretting about the future, later that day, tomorrow, whatever--focus on the now & stop worrying over things I cannot control). Also, a question to anyone who reads this, would you call the bank and do a charge dispute over items I didn't receive? Won't they see that this was potentially an illegal transaction & grill me re. what it was I expected to receive from "Pet Vets Online"? Really could use that money, but don't want any possible flashback coming back to me, any advice would really be appreciated...Godspeed to all, Leigh Anne@Dumbo88 @Leigh Anne I ordered from PPE in August. 5 weeks later after receiving nothing I emailed Doc and he responded saying that the mail was slow. By mid October I had given up on ever receiving anything.
Then around Nov 10th I received my pack from PPE ...I was happily surprised
I am also surprised and unhappy about this situation, but you sound like me--a dinosaur in a technical world stumbling around in the dark; one of the mods responded on this thread that SL has more payment methods now, so I will be looking at that menu later today....those blue Vals make my mouth water....Best of Luck (and you are not alone, either in getting egg on your face, or having difficulty navigating and finding which stranger you want to trust today and also how to pay---I remember writing checks at the grocery, and I wrote my college papers on a typewriter, yep, I am that old, and I have no pride whatsoever left, it would seem.....) Godspeed to you and yours, Leigh Anne (Oh, and welcome, looks like you are relatively new here--I am not new, but have to keep going back and referring to the rules and rereading general information repetitively, but damn, I am doing my level best).Langsense said:I always found Doc reliable. It was a surprise to see his site down and then no response to email. Then I see the post a couple of pages back reporting his arrest. What a shame. I am scrambling now to find a replacement vendor. I use to use starlite a lot (great vendor) but I don't understand bitcoin and I do not have a photo ID for WU or MG etc. I'm stuck at the mo!
thats what i should have done i wonder if its to late it wasnt that much but still tried to tell me after i didnt get the 1st order that he sent it again on a free reship and never got anything or any love lettersI decided to do a charge-back because “Doc” was so insistent that October order was shipped. Of course it never arrived. Just last week I notified my credit card company. They said 4-6 weeks to look into it but I got the money back in about three days.